The reader should filter the contents further below: keep the lines with the word "from".

# K2MoCF (PBE+U, optimized geometry)
# - total moment (μB per formula unit) = 3.31
# - E_tot (eV for the cell shown) = -20.11
data_K2MoCF
_symmetry_space_group_name_H-M 'P 4/m m m'
_symmetry_Int_Tables_number 123
_symmetry_space_group_name_Hall '-P 4 2'
_cell_length_a 5.8125
_cell_length_b 5.8125
_cell_length_c 4.1205
_cell_angle_alpha 90.00
_cell_angle_beta 90.00
_cell_angle_gamma 90.00
loop_
_atom_site_label
_atom_site_type_symbol
_atom_site_fract_x
_atom_site_fract_y
_atom_site_fract_z
K1 K 0.0000 0.5000 0.0000
Mo1 Mo 0.0000 0.0000 0.5000
C1 C 0.0000 0.0000 0.0000
F1 F 0.5000 0.5000 0.5000

* * * * *

Entry 1:
The following is a PBE calculation of crystalline NaOsAuSe3 at its relaxed geometry, from OQMD via LeMat-Bulk.

## Properties
Its symmetry is Cmcm (63). The total moment comes out at 0.973 Bohr magnetons per cell. As for the crystal system: orthorhombic. The total energy is -53.69 eV for the cell shown.

a = 7.462 Å, b = 7.462 Å, c = 9.984 Å
α = 90.00°, β = 90.00°, γ = 29.09°
Site moments in Bohr magnetons follow the coordinates.
Element x y z (fractional)
Au 0.389 0.389 0.250  0.02
Au 0.611 0.611 0.750  0.02
Na 0.731 0.731 0.250  0.00
Na 0.269 0.269 0.750  0.00
Os 0.000 0.000 0.000  0.34
Os 0.000 0.000 0.500  0.35
Se 0.383 0.383 0.006  0.03
Se 0.057 0.057 0.250  0.00
Se 0.383 0.383 0.494  0.03
Se 0.617 0.617 0.506  0.03
Se 0.943 0.943 0.750  0.00
Se 0.617 0.617 0.994  0.03


Entry 2:
The following is a PBE calculation of crystalline NaOsAu3Se4 at its relaxed geometry, from OQMD via LeMat-Bulk.

## Properties
Its symmetry is P-43m (215). The total moment comes out at 0.001 Bohr magnetons per cell. As for the crystal system: cubic. The total energy is -35.32 eV for the cell shown.

a = 6.362 Å, b = 6.362 Å, c = 6.362 Å
α = 90.00°, β = 90.00°, γ = 90.00°
Element x y z (fractional)
Au 0.500 0.500 0.000
Au 0.500 0.000 0.500
Au 0.000 0.500 0.500
Na 0.000 0.000 0.000
Os 0.500 0.500 0.500
Se 0.281 0.281 0.281
Se 0.719 0.719 0.281
Se 0.719 0.281 0.719
Se 0.281 0.719 0.719


Entry 3:
The following is a PBE calculation of crystalline NaTeOsAuSe2 at its relaxed geometry, from OQMD via LeMat-Bulk.

## Properties
Its symmetry is Cmcm (63). The total moment comes out at 2.029 Bohr magnetons per cell. As for the crystal system: orthorhombic. The total energy is -53.32 eV for the cell shown.

a = 8.002 Å, b = 8.002 Å, c = 10.497 Å
α = 90.00°, β = 90.00°, γ = 154.36°
Site moments in Bohr magnetons follow the coordinates.
Element x y z (fractional)
Au 0.630 0.370 0.250  0.01
Au 0.370 0.630 0.750  0.01
Na 0.279 0.721 0.250  0.00
Na 0.721 0.279 0.750  0.00
Os 0.000 0.000 0.000  0.80
Os 0.000 0.000 0.500  0.78
Se 0.616 0.384 0.017  0.05
Se 0.616 0.384 0.483  0.05
Se 0.384 0.616 0.517  0.05
Se 0.384 0.616 0.983  0.05
Te 0.950 0.050 0.250  -0.01
Te 0.050 0.950 0.750  -0.01


Entry 4:
The following is a PBE calculation of crystalline NaTe4OsAu3 at its relaxed geometry, from OQMD via LeMat-Bulk.

## Properties
Its symmetry is P-43m (215). The total moment comes out at 0.666 Bohr magnetons per cell. As for the crystal system: cubic. The total energy is -33.81 eV for the cell shown.

a = 6.638 Å, b = 6.638 Å, c = 6.638 Å
α = 90.00°, β = 90.00°, γ = 90.00°
Site moments in Bohr magnetons follow the coordinates.
Element x y z (fractional)
Au 0.500 0.500 0.000  0.01
Au 0.500 0.000 0.500  0.02
Au 0.000 0.500 0.500  0.03
Na 0.000 0.000 0.000  0.01
Os 0.500 0.500 0.500  0.36
Te 0.275 0.275 0.275  0.02
Te 0.725 0.725 0.275  0.01
Te 0.725 0.275 0.725  0.01
Te 0.275 0.725 0.725  0.01


Question: What is the total moment in the third record?
Answer: 2.029 Bohr magnetons per cell

The following is a PBE calculation of crystalline NaOsAuSe3 at its relaxed geometry, from OQMD via LeMat-Bulk.
The following is a PBE calculation of crystalline NaOsAu3Se4 at its relaxed geometry, from OQMD via LeMat-Bulk.
The following is a PBE calculation of crystalline NaTeOsAuSe2 at its relaxed geometry, from OQMD via LeMat-Bulk.
The following is a PBE calculation of crystalline NaTe4OsAu3 at its relaxed geometry, from OQMD via LeMat-Bulk.